Welcome to the 2016 AAC Regulations
Before we begin, thanks go out to Greg McConnell, Trent Stewart, Peter Townsend, and AAC president David Clemence for taking the time to go through the regulations from top to bottom, and update them to our current practices, and CIVA’s standards. If you’ve ever sat down to read the regulations from front to back, you’ll understand that this can be a very mind numbing process.
For 2016, the basic structure and conduct of competitions hasn’t changed, however Intermediate (CIVA), Advanced and Unlimited pilots (the CIVA Categories), will notice a change from the previous year’s formats. For the other categories, there has been no change to the structure of your competition.
With CIVA’s change in format to include the Free Known, and three Free Unknowns, there was much discussion between the Regulations Committee and pilots as to the best way to move forward. To those who took the time to share their ideas, thank you and we appreciate your time. Early on the decision was made to try and stay with CIVA as much as possible, as we wanted to give as much consistency as we could to those pilots looking to compete in world competitions. We adapted the concept of the Free Known without much discussion as from an administrative perspective there will be almost no change from last year’s know.
Much of the discussions however centred around the Free Unknown concept, and how to reduce the administrative burden, and make it as fair as possible for the pilots. The decision was made to run with three free unknown sequences, however we have made provision in 2.60.7 of the Regulations for the Contest Jury to fly a Chief Judge designed Unknown for one or more of the programme’s. This decision was done to allow some flexibility in the program for chapters wanting to run their competitions over two or three days, but still challenge the pilots.
The next challenge was how to ensure a fair competition for all the pilots when selecting figures for a Free Unknown. One of the issues that has raised its head in the past is when there’s been 3 competitors in a category, and each competitor takes it in turn to submit a figure, if two of the competitors train together, it could result in 6 or 7 figures out of 10 that two of the competitors have flown before. We believed this wasn’t really fair on the third competitor, and wasn’t really an “unknown†for the other two.
This was why last year, we moved towards each competitor selecting one figure (as per CIVA), and the rest of the figures being designed by the Contest Jury and Chief Judge. Despite the success of the Nationals last year, one of the items of feedback I received was that the Contest Jury figures were unrealistic, and in some instances stupid. This led to our change in the regulations this year where we will be giving the option back to the pilots. In the interests of keeping the selection of figures fair, as 2.60.3 and 2.60.4 explain, each competitor will submit one figure. If there are less than 10 competitors, then the competitors will then take turns selecting the remaining figures for the unknown from a Library of figures.
This compromise will still create an unknown sequence, but will give the competitors more say as to the realism of the sequence. As the Australian CJ, I am in the process of composing this library of figures for all of the categories and each competition so as to reduce the administrative burden on CJ’s at the competition. I’ll send the library out to the applicable CJ’s before the competition, and they will utilise them at the competition with the competitors.
Some concern’s have already be conveyed regarding the origin of the figures and I am happy to share my process of how the library of figures are being constructed. I am utilising sequences from the last 10 years in the applicable categories to find figures meeting the requirements for the unknown. Each library for a particular competition will have a wide variety of figures and K values all meeting the CIVA Section 6, Appendix A requirements and will contain between 150 to 200 figures. At the competition, 20 figures will be selected at random from the library. From these 20 figures, the competitors will then have the option to select the remaining figures needed for the program. We will be trialling this at the Victorian Championships next month, and I feel that this process will completely eliminate any bias, and make it as fair as we can for everybody.
For Entry, Graduate, Sportsman and Intermediate (Aus), there has been no change to your program. For Intermediate (Aus), we have changed the regulations so as to not reference CIVA section 6. Everything you need to know, from Free sequence requirements, to how the Unknown will work is in 2.59 and 2.61 of the regulations. This has been a copy and paste from the CIVA regulations, however it will make your life easier having to only reference one document. We have also included Appendix 2.3b which lists all of the potential unknown figures that you could be given.
Other changes to the regulations include:
– Creating a new Australian Chief Judge Position (Appendix 1.5)
– Removal of the State and National Judge References. We are going with just one type of Judge now, and still moving towards the dedicated judges concept that was seen at the 2015 Nationals.
– Separating the Administrative positions of Contest Secretary and Chief Scorer. This was done as often two separate people have done this in past competitions.
– More oversite of judging standards by the Australian Chief Judge, with minimum Judges Performance Index (JPI) standards. This will aid the training of judges and consistency at competitions.
– Pilot eligibility (2.15.6) – As the Student Pilot’s License no longer exists, the minimum requirement now is for a Recreational Pilots License before a competitor will be permitted to compete.
– Inclusion of the new Forms L and R for use at competitions.
– All Supplementary Rules (2.18) for state or national championships need to be approved by the National Committee. This was done to try and give more consistency for competitors between championships. State chapters, can still run with supplementary rules, but they need to have a reason to move away from the regulations.
Overall I think these regulations will help to streamline competitions and give a consistent, fair playing field for everyone. If you find something in the regulations you don’t think is correct, or needs to be change, please email myself (jeremy@skythrills.com.au) or speak with one of your local National committee members. Minor changes to the regulations may be made throughout the year, but we’ll let everyone know when this is the case. The 2016 regulations will be available on the AAC website over the next few days, but in the mean time, a copy can be downloaded from here:
Happy reading.
Victorian State Championships
Just a quick update for the CIVA competitors intending to compete at the upcoming Victorian State Championships. Given the absence of the new 2016 CIVA regulations, we will be running under the old 2015 Regulations with the following changes. The Free Known Program 1 sequences will need to be designed in accordance with of the 2015 RIVA regulations, and the checklist available on the AAC website (http://wp.aerobaticsaustralia.com.au/competitions/sequences/).
Please also provide a copy of this checklist signed by a judge when you register at the championships. I am happy to check and sign these checklists and will be available in Tocumwal for a few days before the championships.
We will run 3 Free Unknown Programs consisting of 10 figures (and 4 additional linkers) with the following K limitations:
Intermediate (CIVA)
Program 2: 12 min – 20 max K
Program 3: 12 min – 25 max K
Program 4: 12 min – 30 max K
Program 2: 15 min – 30 max K
Program 3: 15 min – 35 max K
Program 4: 15 min – 40 max K
Program 2: 22 min – no max K
Program 3: 22 min – no max K
Program 4: 22 min – no max K
This will be in the same format as the new 2016 CIVA regulations when they are published.
I look forward to seeing you all in Tocumwal, and at various competitions throughout the year. Until then, fly safe, have fun and good luck.
Jeremy Miller
[The page is interrupted by materials data]
# 1
! Nb6InSe8, optimized geometry, DFT PBE; values from VASP
! ΔE_f: -1.0400 eV per atom
&SYSTEM
  ibrav = 0, nat = 15, ntyp = 3
/
ATOMIC_SPECIES
Se 78.96 Se.upf
Nb 92.91 Nb.upf
In 114.82 In.upf
ATOMIC_POSITIONS crystal
Se 0.341 0.281 0.500
Nb 0.382 0.489 0.000
Nb 0.487 0.107 0.500
Nb 0.511 0.893 0.000
Se 0.661 0.721 0.000
Se 0.719 0.060 0.500
Se 0.279 0.940 0.000
Nb 0.107 0.618 0.000
In 0.000 0.000 0.500
Se 0.333 0.667 0.500
Se 0.060 0.339 0.000
Nb 0.620 0.513 0.500
Nb 0.893 0.380 0.500
Se 0.940 0.659 0.500
Se 0.667 0.333 0.000
CELL_PARAMETERS angstrom
2.540 7.481 -6.451
-8.217 -5.754 -1.845
-1.979 2.242 1.821



# 2
! SiC, optimized geometry, DFT PBE; values from VASP
! energy above the most stable polymorph in this dataset: 0 meV/atom
! ΔE_f: -0.2036 eV per atom
&SYSTEM
  ibrav = 0, nat = 32, ntyp = 2
/
ATOMIC_SPECIES
Si 28.09 Si.upf
C 12.01 C.upf
ATOMIC_POSITIONS crystal
Si 0.667 0.333 0.312
C 0.333 0.667 0.047
Si 0.667 0.333 0.500
C 0.333 0.667 0.609
Si 0.333 0.667 0.437
C 0.667 0.333 0.547
C 0.000 0.000 0.172
Si 0.333 0.667 0.812
Si 0.000 0.000 0.875
C 0.333 0.667 0.859
Si 0.333 0.667 0.187
Si 0.667 0.333 0.687
Si 0.333 0.667 0.563
C 0.333 0.667 0.234
C 0.000 0.000 0.422
Si 0.000 0.000 0.750
C 0.667 0.333 0.359
C 0.000 0.000 0.797
Si 0.667 0.333 0.937
Si 0.667 0.333 0.063
Si 0.000 0.000 0.125
C 0.000 0.000 0.922
Si 0.000 0.000 0.250
C 0.667 0.333 0.984
C 0.667 0.333 0.109
Si 0.333 0.667 0.000
C 0.000 0.000 0.297
Si 0.000 0.000 0.375
C 0.000 0.000 0.672
C 0.667 0.333 0.734
C 0.333 0.667 0.484
Si 0.000 0.000 0.625
CELL_PARAMETERS angstrom
1.547 -2.680 0.000
1.547 2.680 0.000
0.000 0.000 40.483



# 3
! NiGe3, optimized geometry, DFT PBE; values from VASP
! ΔE_f: 0.2608 eV per atom
&SYSTEM
  ibrav = 0, nat = 4, ntyp = 2
/
ATOMIC_SPECIES
Ge 72.64 Ge.upf
Ni 58.69 Ni.upf
ATOMIC_POSITIONS crystal
Ge 0.750 0.250 0.500
Ge 0.250 0.750 0.500
Ni 0.000 0.000 0.000
Ge 0.500 0.500 0.000
CELL_PARAMETERS angstrom
-2.054 2.054 3.851
2.054 -2.054 3.851
2.054 2.054 -3.851



- ΔE_f of number 2 (SiC)?
  -0.2036 eV per atom

~~~~~

i:
! Nd5Mg, optimized geometry, DFT PBE; values from VASP
! Crystal system   trigonal
&SYSTEM
  ibrav = 0, nat = 6, ntyp = 2
/
ATOMIC_SPECIES
Nd 144.24 Nd.upf
Mg 24.30 Mg.upf
CELL_PARAMETERS angstrom
3.1841 1.8383 5.7547
-3.1841 1.8383 5.7547
0.0000 -3.6766 5.7547
ATOMIC_POSITIONS crystal
Nd 0.0000 0.6475 0.3525
Nd 0.1649 0.1649 0.1649
Nd 0.3525 0.0000 0.6475
Nd 0.6475 0.3525 0.0000
Nd 0.8351 0.8351 0.8351
Mg 0.5000 0.5000 0.5000


ii:
! Nd5Mg, optimized geometry, DFT PBE; values from VASP
! Total magnetic moment   0.00 μB/f.u.
! Crystal system   orthorhombic
&SYSTEM
  ibrav = 0, nat = 6, ntyp = 2
/
ATOMIC_SPECIES
Nd 144.24 Nd.upf
Mg 24.30 Mg.upf
CELL_PARAMETERS angstrom
5.8820 0.0000 0.0000
0.0000 1.8484 9.2650
0.0000 -1.8484 9.2650
ATOMIC_POSITIONS crystal
Nd 0.0000 0.0000 0.0000
Nd 0.0000 0.3248 0.3248
Nd 0.5000 0.2073 0.2073
Nd 0.5000 0.5480 0.5480
Nd 0.5000 0.8765 0.8765
Mg 0.0000 0.6598 0.6598
Vice President
Australian Aerobatic Club